Can we still sent cards/letters to Ukraine?

i just wanna say to everyone in ukraine right now reading this, i hope you will be okay and things get better soon. i can’t imagine what it must be like, please take care of yourself.

and while mail service is obviously not important at all this time, this is definitely true

also please lets be kind to russian postcrossers, i’m sure they are not the one who started this war.

_These quantum chemistry results were left in the piece by mistake_
/*
# 1
This record from the OMol25 dataset describes a gas-phase ion, C8H14NS (charge +1). The level of theory is wB97M-V/def2-TZVPD.

Results
Largest force on an atom: 0.101 Eh/bohr
LUMO level (spin up / spin down): -5.442 / -5.469 eV
Gap between HOMO and LUMO (spin up / spin down): 0.2216 / 0.2217 hartree

Geometry as ORCA input:
```
! wB97M-V def2-TZVPD RIJCOSX def2/J DEFGRID3
* xyz 1 1
H 0.81462 1.43575 -2.17395
C -0.09367 0.50695 -0.63374
H 1.30222 -1.47960 -2.19238
H 0.22892 -2.23395 -1.19828
C -1.42411 -0.01773 1.29346
H -2.20556 2.61211 0.11294
N -1.22298 0.62512 0.10608
C 1.10988 -1.70933 -1.18158
C 0.83980 -0.93004 1.21487
H -0.62637 0.33084 -2.62531
C 0.96205 -0.43116 -0.23811
H 1.12073 0.36467 2.91942
H 0.48378 -2.02429 1.41098
S -2.45048 -0.02608 2.49554
C 1.67567 -0.49995 2.31421
H -2.25560 1.48644 -1.42522
H -3.25256 1.05662 0.12000
C -2.35579 1.53042 -0.36385
H -0.68962 2.04102 -2.13956
H 2.64660 -0.09679 1.93687
C -0.14584 1.10134 -2.00179
H 1.93810 0.11411 -0.12995
H 1.90755 -1.28863 3.03691
H 1.69265 -2.46785 -0.65756
*
```

# 2
This record from the OMol25 dataset describes C8H14O in the gas phase. The level of theory is wB97M-V/def2-TZVPD.

Results
Largest force on an atom: 0.007 Eh/bohr
LUMO level: 0.813 eV
SMILES: C/C=C(C)\C(C)=C(/C)O
Gap between HOMO and LUMO: 0.3081 hartree

Geometry as ORCA input:
```
! wB97M-V def2-TZVPD RIJCOSX def2/J DEFGRID3
* xyz 0 1
H 2.06853 -2.07277 1.00723
C 0.79220 1.71076 -1.34524
O 1.31014 -1.49139 -1.37102
C -1.70013 1.11242 1.45400
H -1.21553 1.67391 2.25978
H -2.28492 0.30767 1.90414
H 2.86390 -0.57363 0.53208
H -2.48123 -1.51735 0.21644
C 1.90652 -1.00089 0.83515
C 0.86818 -0.83929 -0.24267
H -2.39357 1.80467 0.96600
H 1.58230 -0.53670 1.76197
C -0.66349 0.59908 0.49893
H 0.25660 1.07902 -2.05581
H 0.49245 2.74863 -1.54081
H -1.25479 -2.70023 -0.26523
C 0.48390 1.33119 0.08435
H -1.91987 -1.56286 -1.44216
H 0.91034 2.04371 0.79992
H 0.64343 -1.41532 -2.06412
C -1.59244 -1.66973 -0.40062
H 1.86143 1.64238 -1.57091
C -0.53394 -0.67330 -0.02142
*
```

# 3
This record from the OMol25 dataset describes C8H14O2Si in the gas phase. The level of theory is wB97M-V/def2-TZVPD.

Results
Largest force on an atom: 0.060 Eh/bohr
LUMO level: 0.684 eV
SMILES: C[C@H]1[C@H]([Si](C)(C)C)[C@]12OC2=O
Gap between HOMO and LUMO: 0.3842 hartree

Geometry as ORCA input:
```
! wB97M-V def2-TZVPD RIJCOSX def2/J DEFGRID3
* xyz 0 1
O 2.14621 1.64020 -0.55290
C -1.18686 1.31494 1.77015
H -0.31146 1.94038 1.59542
H -3.60871 -0.49481 0.65331
H 2.92206 -2.39430 -1.58985
Si -1.25751 0.30055 0.23854
C -1.21624 1.36575 -1.26918
H -2.61305 -1.91699 0.47209
H -2.82357 -1.01991 -0.91174
H -2.03940 1.88632 1.83166
H -0.73585 2.31852 -1.23605
C 1.69652 0.35113 -0.19844
C 0.53579 -0.27857 0.30580
H 0.69828 -0.72352 -1.70214
C -2.69846 -0.85650 0.18539
H 2.60647 -2.05561 0.23210
O 3.50009 0.91144 1.40867
H 0.86018 -0.64944 1.24839
H 1.58175 -3.01849 -0.47326
H -1.15937 0.75564 2.71252
C 2.75984 0.92176 0.48215
*/


Finnish post will return the mail sent to Ukraine to the sender, so maybe, if it’s unclear to some countries if they can send, put your return address, so it can be sent back if necessary.


Unless Putin is on Postcrossing and we got his address, I don’t see any reason to not keep on being kind.

If there was a time where Postcrossing’s mission is more important than never, that time is now.
There isn’t much more I can add to what was said. I just wish this wasn’t happening at all.

I bet all the routes there (and maybe Russia) will be impacted, so let’s please keep an eye on the postal monitor and hoping that our fellow postcrossers from both countries won’t be affected more than just missing some postcards. :white_heart:


A post was merged into an existing topic: :postcard: Mail Suspension Alerts

I for one think it awful that anyone person is being attacked for the country they live in. I hope you are well. Keep postcrossing. :slight_smile: Take care.


I was very sad to read some of the posts here. I woke up today and found out that the war had begun. I didn’t want this. Nobody around me wanted this. But it happened. I cried today when I saw a video of people fleeing Kiev. It wasn’t the Russian people who started this war, but the government. Russian and Ukrainian peoples have always been friendly. Conflicts between heads of state shouldn’t spoil relations between ordinary people.

Now Ukrainians are unlikely to answer you to answer about their mail. Wait a few days, I think after a while the situation will soften (I really hope :sweat:) and the Ukrainian Post will find a way to deliver postcards to their owners. It would be a great gesture of friendship between peoples.

I wish the Ukrainian people and everyone who suffers from this war to find a good shelter and survive this horror :ukraine: :ru:


Since internal postal routes in most of countries are open, how about sending postcards appealing for peace to local Russian diplomatic corps, and cards providing support to local Ukrainian ones? That can be a signature action of postcrossers and/or the postcrossing project.


Yes, it really works today for me.

I sent a pm to my Ukrainian friend, and just got a reply.
Sending pm is also nice.


Be careful posting on this thread. 2 weeks ago I also asked if mail to Ukraine would be disrupted by conflict and received harrassment. To make it stop I asked admins to delete my question. If anyone receives harrassing messages, report them to admins.


:smiling_face_with_tear:I don’t know what should I say about it.

## Between two parts of the text: quantum chemistry results
(1)
A structure of composition C54H134Hg2N12O16. Source: OMol25; level of theory: ωB97M-V/def2-TZVPD.

The geometry in XYZ format:
```
218
Properties=species:S:1:pos:R:3:mulliken_charge:R:1
Hg -1.82 -0.17 -4.03 2.33
H -0.05 1.95 4.87 -0.26
H 1.47 -3.84 -6.10 0.75
O 0.26 2.98 1.24 0.03
H -4.77 4.88 4.74 0.54
H 5.81 -3.74 5.78 0.43
C 0.03 0.47 0.97 0.33
H 5.91 1.38 -3.16 0.30
H -1.39 -6.72 -1.75 0.61
H 2.60 -0.45 -3.02 -1.12
C -0.50 -0.30 -1.30 0.88
O 3.94 1.96 5.19 -0.45
H 2.00 5.21 1.69 -0.10
H 0.52 -7.93 -1.03 0.25
H -2.85 1.74 1.90 0.21
H 4.27 0.68 -6.03 0.29
H -4.29 4.96 3.00 0.34
H 2.53 8.07 0.50 0.39
H 0.03 -4.16 0.99 0.24
H -4.43 -4.35 -4.89 0.66
H 2.63 -2.49 1.24 0.44
H 2.13 -1.86 -4.68 -0.11
C -2.00 0.91 -7.23 0.21
H -3.89 -0.42 0.53 0.25
C 0.70 5.81 -3.17 -1.15
H 4.54 -0.03 5.39 0.31
H 4.77 -3.86 2.08 0.33
H 1.19 -2.78 2.19 -0.67
H 1.30 6.66 -2.87 0.33
C 1.09 -2.15 -4.82 0.29
H -3.38 -2.33 -5.28 0.38
O -3.73 -5.51 -3.26 -0.26
C -0.94 -1.21 5.81 0.24
N -2.85 1.18 2.74 0.36
H -5.12 -6.70 -4.21 0.34
H -0.14 -3.39 -3.54 -0.35
H -4.10 -3.15 0.33 0.05
N 0.53 6.14 0.47 -0.16
O -0.53 -3.46 -6.18 -0.09
N 0.40 2.77 4.51 1.22
C 5.55 1.06 -4.14 -1.56
H 2.54 1.28 3.82 0.23
H 1.87 5.22 -4.92 0.44
H 0.99 -2.36 -6.98 0.45
H -3.86 0.64 -8.18 0.42
H 2.38 -0.01 -0.51 -0.44
H 1.26 5.95 5.28 0.35
H -0.29 -7.21 -4.23 0.45
C -1.52 -0.45 -7.61 -0.91
H 3.88 -2.83 4.47 -0.16
H 1.41 -5.73 -2.10 0.20
H -1.59 -5.10 -6.87 0.29
C 0.07 -4.32 -0.08 -0.14
H -1.19 -2.44 3.99 -0.03
H -6.02 -0.16 -5.37 0.28
O 0.43 5.91 3.30 -0.05
H 2.17 7.20 3.30 0.49
O -3.44 4.32 6.73 -0.44
N 0.54 3.74 -4.49 -0.42
C -0.33 -0.54 0.13 -0.39
H -0.20 6.26 -3.60 0.46
H -3.60 -3.49 1.93 0.26
C 3.27 0.62 -0.52 0.64
C -2.79 3.50 5.77 -0.17
H 0.30 5.35 -2.26 0.18
H 0.31 3.06 -3.77 0.12
C -4.20 4.40 3.94 -1.76
C 1.68 6.20 1.37 0.82
C -3.52 1.09 -7.25 -1.21
C -4.16 -6.81 -3.69 -0.80
H -4.63 -3.14 -2.19 0.52
H -0.48 1.53 -5.97 0.25
C 2.77 7.03 0.70 -1.43
H -1.73 3.37 6.01 0.16
H -5.44 1.58 3.36 0.32
H 2.99 1.67 -0.53 -0.37
H -3.70 -1.70 -2.25 -0.06
H -3.39 -7.30 -4.28 0.27
H 3.67 7.02 1.31 0.45
H -1.85 -2.72 -5.09 -0.72
H 0.55 -1.81 8.78 0.30
C 2.67 4.11 -3.30 0.98
C -3.32 3.89 8.05 -0.71
H -0.34 4.19 -4.68 0.32
H -3.34 2.56 5.80 0.60
O 2.72 -4.17 2.44 -0.35
H 5.71 1.36 5.57 0.34
O -0.33 1.40 -3.09 -1.05
C 4.43 0.00 -4.08 0.16
C 4.87 0.93 5.01 -0.75
H -3.86 2.12 -7.16 0.53
C -3.99 0.26 2.67 0.06
O 4.06 0.25 -1.61 -0.54
C 4.09 -4.32 2.79 -0.71
H -4.84 -2.04 -3.62 0.27
O 0.40 -2.82 7.02 -0.41
H 0.60 2.60 3.53 -0.62
C -0.69 -4.54 -7.11 -1.04
H 4.36 3.47 -1.51 0.09
O 0.09 0.18 2.22 0.02
C 0.81 -2.97 -6.10 -1.73
N -1.45 1.24 -5.91 -0.63
H 0.36 3.19 -1.24 -0.12
H -3.95 4.59 8.61 0.31
C 2.27 -2.79 2.22 0.10
H -6.02 0.55 -6.92 0.35
H 0.13 -5.24 -6.95 0.35
H -2.29 4.01 8.39 0.27
C 0.50 -1.66 6.24 -0.15
O -0.50 -5.64 -0.25 -0.49
H -5.57 1.51 -5.50 0.36
C -4.14 -2.46 -2.90 -1.24
H -1.70 0.31 4.61 -0.26
C -3.07 -3.12 -3.69 1.43
H 5.35 4.19 -2.91 0.27
H 6.40 -3.11 4.24 0.38
H -1.65 1.60 -7.99 0.41

For your information!
Russian Post (Почта России) temporarily stopped accepting shipments to Ukraine.
Here’s the link:

Postcrossers worldwide say NO TO THE WAR!


I’ve been checking for service alerts all morning and coaching my employees at our postal counter about what to say if customers ask if they can send mail to Ukraine or Russia. I don’t see any service alerts for either country yet. I’ll happily send my postcards off to either country unless USPS stops letting me.

I hope all the Postcrossers in both countries are safe. I just got a lovely official postcard from Ukraine a few days ago from someone in Kyiv. I hope she’s okay.


I’ve moved a few of the recent posts that were not about mail delivery in Ukraine (but more about the situation there) to this topic.

Feel free to continue the discussion there, and let’s keep this topic focused on mail delivery.


A post was merged into an existing topic: Ukraine and Russia

We will probably get updates from our postcrossing friends about sending and/or receiving mail.

If I draw a name from any region in conflict and mail is suspended I will save your card until the time is right.


hello, I’m from ukraine and we were told to stay in our homes. I don’t think postmen will deliver postcards at the risk of their lives. I don’t know, the site says that the mail is working, but I’m sure the delivery of postcards will not be completed.


4 posts were merged into an existing topic: Ukraine and Russia

Greetings from Ukraine!
Since today morning, all air activity is canceled so we think that airmail is canceled too. What about another postmail - we don’t know exactly, because for now our main goal is to survive. The evacuation of people in some cities is gaining momentum, people are forced to leave their flats, animals, so… sorry, it is so hard to write something now…
I already designed few postcards and hope that oneday I will be able to send them.
Stay safe and healthy! :blue_heart: :yellow_heart:

p.s.: for sending postcards we were used Ukrposhta in general and I checked that Ukrposhta post offices will be closed from 24 February to better time - it’s true, yes.


Mail to Ukraine part Crimea (occupied) via Russia is still possible.

Everyone involved
Much Love Peace and Harmony.


Slovenian Post still maintains mail exchange with Ukraine, but warns about delays.

However, this has to be taken with precautions.